Write out the whole of the notes further down word for word.
____________
Below is an optimized crystal structure of Li2HgAu, with properties calculated at the meta-GGA r2SCAN level.

Unit cell a=4.488 b=4.488 c=4.488 alpha=60.00 beta=60.00 gamma=60.00
Atoms (fractional coordinates):
Li1 0.000 0.000 0.000
Li2 0.500 0.500 0.500
Hg1 0.750 0.750 0.750
Au1 0.250 0.250 0.250

Values from the calculation:
- energy (Ha/atom) = -0.9796
- magnetization (μB/atom) = 0.000
- formation energy (kJ/mol of formula units) = -183


No. 1
The following is a DFT calculation (PBE-GGA) of an optimized crystal structure of KSr2I5.

Cell: 9.1586 10.0754 14.4300 Å, 89.93 90.00 90.00°
With the nearest neighbours (Å) after each atom.
Fractional positions:
I (0.8377, 0.0444, 0.9040)  4 Sr 3.31-3.55
I (0.6643, 0.4605, 0.4106)  2 Sr 3.26-3.38, 2 K 3.50-3.63
Sr (0.4776, 0.0020, 0.8189)  8 I 3.40-3.64
K (0.0177, 0.4908, 0.3203)  7 I 3.50-3.91
I (0.0418, 0.2199, 0.5028)  3 Sr 3.45-3.49, 1 K 3.80
Sr (0.0782, 0.2491, 0.0073)  7 I 3.26-3.49
Sr (0.5782, 0.7509, 0.4927)  7 I 3.26-3.49
K (0.5177, 0.5092, 0.1797)  7 I 3.50-3.91
I (0.3050, 0.2301, 0.2826)  3 Sr 3.40-3.50, 2 K 3.73-3.76
K (0.9823, 0.5092, 0.6797)  7 I 3.50-3.91
I (0.1643, 0.7791, 0.8163)  3 Sr 3.39-3.64, 1 K 3.75
K (0.4823, 0.4908, 0.8203)  7 I 3.50-3.91
Sr (0.9776, 0.9980, 0.6811)  8 I 3.40-3.64
I (0.1950, 0.2301, 0.7826)  3 Sr 3.40-3.50, 2 K 3.73-3.76
I (0.4582, 0.2199, 0.0028)  3 Sr 3.45-3.49, 1 K 3.80
I (0.3357, 0.7791, 0.3163)  3 Sr 3.39-3.64, 1 K 3.75
Sr (0.4218, 0.2491, 0.5073)  7 I 3.26-3.49
I (0.6950, 0.7699, 0.7174)  3 Sr 3.40-3.50, 2 K 3.73-3.76
I (0.8357, 0.2209, 0.1837)  3 Sr 3.39-3.64, 1 K 3.75
I (0.9582, 0.7801, 0.4972)  3 Sr 3.45-3.49, 1 K 3.80
I (0.8357, 0.4605, 0.9106)  2 Sr 3.26-3.38, 2 K 3.50-3.63
I (0.6643, 0.2209, 0.6837)  3 Sr 3.39-3.64, 1 K 3.75
I (0.6623, 0.0444, 0.4040)  4 Sr 3.31-3.55
I (0.1643, 0.5395, 0.0894)  2 Sr 3.26-3.38, 2 K 3.50-3.63
I (0.5418, 0.7801, 0.9972)  3 Sr 3.45-3.49, 1 K 3.80
I (0.1623, 0.9556, 0.0960)  4 Sr 3.31-3.55
Sr (0.0224, 0.0020, 0.3189)  8 I 3.40-3.64
I (0.8050, 0.7699, 0.2174)  3 Sr 3.40-3.50, 2 K 3.73-3.76
I (0.3357, 0.5395, 0.5894)  2 Sr 3.26-3.38, 2 K 3.50-3.63
Sr (0.9218, 0.7509, 0.9927)  7 I 3.26-3.49
I (0.3377, 0.9556, 0.5960)  4 Sr 3.31-3.55
Sr (0.5224, 0.9980, 0.1811)  8 I 3.40-3.64

Properties
Total energy after the MP2020 corrections   -27.2 eV per formula unit
Space group   P2_1/c

No. 2
The following is a DFT calculation (PBE-GGA) of an optimized crystal structure of Na3TeAs2O14.

Cell: 7.9742 7.9823 11.7094 Å, 90.26 90.20 119.55°
With the nearest neighbours (Å) after each atom.
Fractional positions:
O (0.9910, 0.2096, 0.3249)  1 Te 1.94
Na (0.9510, 0.4753, 0.2503)  6 O 2.39-2.46
O (0.5049, 0.8838, 0.4287)  1 As 1.76
Na (0.0491, 0.5245, 0.7497)  6 O 2.39-2.46
O (0.6674, 0.3324, 0.3664)  1 As 1.68
Na (0.4760, 0.9513, 0.7498)  6 O 2.39-2.46
O (0.8741, 0.5067, 0.5762)  1 As 1.74
Na (0.5244, 0.0489, 0.2495)  6 O 2.39-2.46
As (0.3343, 0.6660, 0.4904)  4 O 1.68-1.76
O (0.6266, 0.1148, 0.5712)  1 As 1.75
O (0.2190, 0.2095, 0.1755)  1 Te 1.94
O (0.0061, 0.7904, 0.8235)  1 Te 1.95
O (0.3634, 0.8720, 0.0779)  1 As 1.74
As (0.6706, 0.3350, 0.9908)  4 O 1.67-1.76
O (0.6192, 0.5050, 0.9287)  1 As 1.76
O (0.7909, 0.0097, 0.1745)  1 Te 1.94
O (0.4956, 0.1276, 0.9222)  1 As 1.74
O (0.0171, 0.2237, 0.6714)  1 Te 1.92
O (0.7768, 0.9832, 0.8288)  1 Te 1.92
O (0.7909, 0.7805, 0.3247)  1 Te 1.94
Te (0.9974, 0.0042, 0.7501)  6 O 1.92-1.95
O (0.2232, 0.0147, 0.3273)  1 Te 1.93
O (0.8865, 0.3758, 0.9286)  1 As 1.75
O (0.9848, 0.7763, 0.1724)  1 Te 1.93
O (0.3338, 0.6675, 0.6336)  1 As 1.68
O (0.3330, 0.6672, 0.8665)  1 As 1.67
O (0.6676, 0.3323, 0.1338)  1 As 1.67
Te (0.0015, 0.9978, 0.2499)  6 O 1.93-1.94
Na (0.4748, 0.5249, 0.7497)  6 O 2.38-2.47
As (0.3346, 0.6652, 0.0095)  4 O 1.67-1.76
O (0.1176, 0.4932, 0.0719)  1 As 1.76
As (0.6658, 0.3307, 0.5097)  4 O 1.68-1.75
O (0.1246, 0.6310, 0.4236)  1 As 1.74
O (0.5120, 0.6251, 0.0711)  1 As 1.75
O (0.2112, 0.2217, 0.8254)  1 Te 1.94
Na (0.5252, 0.4751, 0.2499)  6 O 2.39-2.47
____________
Below is an optimized crystal structure of Li2HgAu, with properties calculated at the meta-GGA r2SCAN level.

Unit cell a=4.488 b=4.488 c=4.488 alpha=60.00 beta=60.00 gamma=60.00
Atoms (fractional coordinates):
Li1 0.000 0.000 0.000
Li2 0.500 0.500 0.500
Hg1 0.750 0.750 0.750
Au1 0.250 0.250 0.250

Values from the calculation:
- energy (Ha/atom) = -0.9796
- magnetization (μB/atom) = 0.000
- formation energy (kJ/mol of formula units) = -183


No. 1
The following is a DFT calculation (PBE-GGA) of an optimized crystal structure of KSr2I5.

Cell: 9.1586 10.0754 14.4300 Å, 89.93 90.00 90.00°
With the nearest neighbours (Å) after each atom.
Fractional positions:
I (0.8377, 0.0444, 0.9040)  4 Sr 3.31-3.55
I (0.6643, 0.4605, 0.4106)  2 Sr 3.26-3.38, 2 K 3.50-3.63
Sr (0.4776, 0.0020, 0.8189)  8 I 3.40-3.64
K (0.0177, 0.4908, 0.3203)  7 I 3.50-3.91
I (0.0418, 0.2199, 0.5028)  3 Sr 3.45-3.49, 1 K 3.80
Sr (0.0782, 0.2491, 0.0073)  7 I 3.26-3.49
Sr (0.5782, 0.7509, 0.4927)  7 I 3.26-3.49
K (0.5177, 0.5092, 0.1797)  7 I 3.50-3.91
I (0.3050, 0.2301, 0.2826)  3 Sr 3.40-3.50, 2 K 3.73-3.76
K (0.9823, 0.5092, 0.6797)  7 I 3.50-3.91
I (0.1643, 0.7791, 0.8163)  3 Sr 3.39-3.64, 1 K 3.75
K (0.4823, 0.4908, 0.8203)  7 I 3.50-3.91
Sr (0.9776, 0.9980, 0.6811)  8 I 3.40-3.64
I (0.1950, 0.2301, 0.7826)  3 Sr 3.40-3.50, 2 K 3.73-3.76
I (0.4582, 0.2199, 0.0028)  3 Sr 3.45-3.49, 1 K 3.80
I (0.3357, 0.7791, 0.3163)  3 Sr 3.39-3.64, 1 K 3.75
Sr (0.4218, 0.2491, 0.5073)  7 I 3.26-3.49
I (0.6950, 0.7699, 0.7174)  3 Sr 3.40-3.50, 2 K 3.73-3.76
I (0.8357, 0.2209, 0.1837)  3 Sr 3.39-3.64, 1 K 3.75
I (0.9582, 0.7801, 0.4972)  3 Sr 3.45-3.49, 1 K 3.80
I (0.8357, 0.4605, 0.9106)  2 Sr 3.26-3.38, 2 K 3.50-3.63
I (0.6643, 0.2209, 0.6837)  3 Sr 3.39-3.64, 1 K 3.75
I (0.6623, 0.0444, 0.4040)  4 Sr 3.31-3.55
I (0.1643, 0.5395, 0.0894)  2 Sr 3.26-3.38, 2 K 3.50-3.63
I (0.5418, 0.7801, 0.9972)  3 Sr 3.45-3.49, 1 K 3.80
I (0.1623, 0.9556, 0.0960)  4 Sr 3.31-3.55
Sr (0.0224, 0.0020, 0.3189)  8 I 3.40-3.64
I (0.8050, 0.7699, 0.2174)  3 Sr 3.40-3.50, 2 K 3.73-3.76
I (0.3357, 0.5395, 0.5894)  2 Sr 3.26-3.38, 2 K 3.50-3.63
Sr (0.9218, 0.7509, 0.9927)  7 I 3.26-3.49
I (0.3377, 0.9556, 0.5960)  4 Sr 3.31-3.55
Sr (0.5224, 0.9980, 0.1811)  8 I 3.40-3.64

Properties
Total energy after the MP2020 corrections   -27.2 eV per formula unit
Space group   P2_1/c

No. 2
The following is a DFT calculation (PBE-GGA) of an optimized crystal structure of Na3TeAs2O14.

Cell: 7.9742 7.9823 11.7094 Å, 90.26 90.20 119.55°
With the nearest neighbours (Å) after each atom.
Fractional positions:
O (0.9910, 0.2096, 0.3249)  1 Te 1.94
Na (0.9510, 0.4753, 0.2503)  6 O 2.39-2.46
O (0.5049, 0.8838, 0.4287)  1 As 1.76
Na (0.0491, 0.5245, 0.7497)  6 O 2.39-2.46
O (0.6674, 0.3324, 0.3664)  1 As 1.68
Na (0.4760, 0.9513, 0.7498)  6 O 2.39-2.46
O (0.8741, 0.5067, 0.5762)  1 As 1.74
Na (0.5244, 0.0489, 0.2495)  6 O 2.39-2.46
As (0.3343, 0.6660, 0.4904)  4 O 1.68-1.76
O (0.6266, 0.1148, 0.5712)  1 As 1.75
O (0.2190, 0.2095, 0.1755)  1 Te 1.94
O (0.0061, 0.7904, 0.8235)  1 Te 1.95
O (0.3634, 0.8720, 0.0779)  1 As 1.74
As (0.6706, 0.3350, 0.9908)  4 O 1.67-1.76
O (0.6192, 0.5050, 0.9287)  1 As 1.76
O (0.7909, 0.0097, 0.1745)  1 Te 1.94
O (0.4956, 0.1276, 0.9222)  1 As 1.74
O (0.0171, 0.2237, 0.6714)  1 Te 1.92
O (0.7768, 0.9832, 0.8288)  1 Te 1.92
O (0.7909, 0.7805, 0.3247)  1 Te 1.94
Te (0.9974, 0.0042, 0.7501)  6 O 1.92-1.95
O (0.2232, 0.0147, 0.3273)  1 Te 1.93
O (0.8865, 0.3758, 0.9286)  1 As 1.75
O (0.9848, 0.7763, 0.1724)  1 Te 1.93
O (0.3338, 0.6675, 0.6336)  1 As 1.68
O (0.3330, 0.6672, 0.8665)  1 As 1.67
O (0.6676, 0.3323, 0.1338)  1 As 1.67
Te (0.0015, 0.9978, 0.2499)  6 O 1.93-1.94
Na (0.4748, 0.5249, 0.7497)  6 O 2.38-2.47
As (0.3346, 0.6652, 0.0095)  4 O 1.67-1.76
O (0.1176, 0.4932, 0.0719)  1 As 1.76
As (0.6658, 0.3307, 0.5097)  4 O 1.68-1.75
O (0.1246, 0.6310, 0.4236)  1 As 1.74
O (0.5120, 0.6251, 0.0711)  1 As 1.75
O (0.2112, 0.2217, 0.8254)  1 Te 1.94
Na (0.5252, 0.4751, 0.2499)  6 O 2.39-2.47